### Source
# 1
Entry from the Alexandria database: crystalline Zn2AsH at its relaxed geometry (GGA-PBE).

Values from the calculation:
- V: 17.02 Å³/atom
- Energy relative to the lowest polymorph listed for this composition: 49 meV per atom

a = 4.067 Å, b = 4.070 Å, c = 4.338 Å
α = 81.69°, β = 81.58°, γ = 74.63°
Space group P1 (No. 1)
Unique sites:
1 Zn 0.000 0.000 0.000 (multiplicity 1)
2 Zn 0.425 0.426 0.640 (multiplicity 1)
3 As 0.611 0.609 0.096 (multiplicity 1)
4 H 0.169 0.165 0.630 (multiplicity 1)

***

# 2
Entry from the Alexandria database: crystalline MgCo4Ge6 at its relaxed geometry (GGA-PBE).

Values from the calculation:
- V: 15.02 Å³/atom
- ΔE_f: -0.258 eV/atom

a = 6.164 Å, b = 6.164 Å, c = 8.697 Å
α = 90.00°, β = 90.00°, γ = 90.00°
Space group I-42m (No. 121)
Unique sites:
1 Mg 0.000 0.000 0.000 (multiplicity 2)
2 Co 0.181 0.181 0.578 (multiplicity 8)
3 Ge 0.000 0.500 0.000 (multiplicity 4)
4 Ge 0.167 0.167 0.293 (multiplicity 8)

***

# 3
Entry from the Alexandria database: crystalline ReIr2Pt at its relaxed geometry (GGA-PBE).

Values from the calculation:
- V: 15.29 Å³/atom
- Energy relative to the lowest polymorph listed for this composition: 562 meV per atom
- ΔE_f: 0.412 eV/atom

a = 6.254 Å, b = 6.254 Å, c = 6.254 Å
α = 90.00°, β = 90.00°, γ = 90.00°
Space group Fm-3m (No. 225)
Unique sites:
1 Re 0.000 0.000 0.000 (multiplicity 4)
2 Ir 0.250 0.250 0.250 (multiplicity 8)
3 Pt 0.000 0.000 0.500 (multiplicity 4)

***

# 4
Entry from the Alexandria database: crystalline La2InBr at its relaxed geometry (GGA-PBE).

Values from the calculation:
- V: 31.23 Å³/atom
- Energy relative to the lowest polymorph listed for this composition: 74 meV per atom
- Formation energy without anion corrections: -0.809 eV per atom

a = 5.371 Å, b = 3.775 Å, c = 12.321 Å
α = 90.00°, β = 90.00°, γ = 90.00°
Space group Amm2 (No. 38)
Unique sites:
1 La 0.000 0.000 0.000 (multiplicity 2)
2 La 0.500 0.000 0.254 (multiplicity 2)
3 In 0.500 0.000 0.515 (multiplicity 2)
4 Br 0.000 0.000 0.749 (multiplicity 2)

***

# 5
Entry from the Alexandria database: crystalline Mn2InPb at its relaxed geometry (GGA-PBE).

Values from the calculation:
- V: 20.26 Å³/atom
- Energy relative to the lowest polymorph listed for this composition: 174 meV per atom
- ΔE_f: 0.450 eV/atom

a = 6.870 Å, b = 6.870 Å, c = 6.870 Å
α = 90.00°, β = 90.00°, γ = 90.00°
Space group Fm-3m (No. 225)
Unique sites:
1 Mn 0.250 0.250 0.250 (multiplicity 8)
2 In 0.000 0.000 0.000 (multiplicity 4)
3 Pb 0.000 0.000 0.500 (multiplicity 4)

***

# 6
Entry from the Alexandria database: crystalline Rb2TiAu at its relaxed geometry (GGA-PBE).

Values from the calculation:
- V: 53.14 Å³/atom
- Energy relative to the lowest polymorph listed for this composition: 0 meV per atom
- ΔE_f: 0.519 eV/atom

a = 12.753 Å, b = 12.753 Å, c = 5.228 Å
α = 90.00°, β = 90.00°, γ = 90.00°
Space group I-42d (No. 122)
Unique sites:
1 Rb 0.094 0.250 0.125 (multiplicity 8)
2 Ti 0.000 0.000 0.500 (multiplicity 4)
3 Au 0.000 0.000 0.000 (multiplicity 4)

***

# 7
Entry from the Alexandria database: crystalline CsInSi at its relaxed geometry (GGA-PBE).

Values from the calculation:
- V: 35.23 Å³/atom
- Formation energy without anion corrections: 0.021 eV per atom

a = 4.571 Å, b = 6.427 Å, c = 8.030 Å
α = 91.72°, β = 105.61°, γ = 110.13°
Space group P1 (No. 1)
Unique sites:
1 Cs 0.000 0.000 0.000 (multiplicity 1)
2 Cs 0.445 0.574 0.300 (multiplicity 1)
3 In 0.270 0.985 0.582 (multiplicity 1)
4 In 0.637 0.415 0.820 (multiplicity 1)
5 Si 0.142 0.567 0.675 (multiplicity 1)
6 Si 0.841 0.201 0.503 (multiplicity 1)

***

# 8
Entry from the Alexandria database: crystalline KZr3Se at its relaxed geometry (GGA-PBE).

Values from the calculation:
- V: 24.70 Å³/atom
- Energy relative to the lowest polymorph listed for this composition: 1600 meV per atom
- Formation energy without anion corrections: 1.889 eV per atom

a = 4.980 Å, b = 4.980 Å, c = 4.980 Å
α = 90.00°, β = 90.00°, γ = 90.00°
Space group Pm-3m (No. 221)
Unique sites:

### What to do
Quote only the lines further above with the word "energy" in them.

### Completed
- Formation energy without anion corrections: -0.809 eV per atom
- Formation energy without anion corrections: 0.021 eV per atom
- Formation energy without anion corrections: 1.889 eV per atom